**To do**
Could you restate the whole of the entries further below unchanged?
**Excerpt**
____________
Here is crystalline SrTbSnAu at its relaxed geometry from Alexandria. Energies are from PBE-GGA.

Values from the calculation:
Calculated volume   446.3 Å³/cell
Total magnetization   0.000 μB/atom
ΔH_f (0 K)   -679 meV per atom

abc: 7.6418 7.6418 7.6418
angles: 90.00 90.00 90.00
Closest atoms and distances in Å follow each position.
Space group F-43m (No. 216)
Asymmetric unit:
Sr (0.0000, 0.0000, 0.0000) (multiplicity 4)  4 Sn 3.31, 4 Au 3.31
Tb (0.0000, 0.0000, 0.5000) (multiplicity 4)  4 Au 3.31, 4 Sn 3.31
Sn (0.2500, 0.2500, 0.2500) (multiplicity 4)  4 Tb 3.31, 4 Sr 3.31
Au (0.2500, 0.2500, 0.7500) (multiplicity 4)  4 Tb 3.31, 4 Sr 3.31

=====

Here is crystalline SrThSnAu at its relaxed geometry from Alexandria. Energies are from PBE-GGA.

Values from the calculation:
Calculated volume   461.8 Å³/cell
Total magnetization   0.000 μB/atom
ΔH_f (0 K)   -487 meV per atom

abc: 7.7294 7.7294 7.7294
angles: 90.00 90.00 90.00
Closest atoms and distances in Å follow each position.
Space group F-43m (No. 216)
Asymmetric unit:
Sr (0.0000, 0.0000, 0.0000) (multiplicity 4)  4 Sn 3.35, 4 Au 3.35
Th (0.0000, 0.0000, 0.5000) (multiplicity 4)  4 Sn 3.35, 4 Au 3.35
Sn (0.2500, 0.2500, 0.7500) (multiplicity 4)  4 Th 3.35, 4 Sr 3.35
Au (0.2500, 0.2500, 0.2500) (multiplicity 4)  4 Th 3.35, 4 Sr 3.35

=====

Here is crystalline Sr2TlSnAu6 at its relaxed geometry from Alexandria. Energies are from PBE-GGA.

Values from the calculation:
Calculated volume   1180.8 Å³/cell
Total magnetization   0.000 μB/atom
ΔH_f (0 K)   -172 meV per atom

abc: 10.5696 10.5696 10.5696
angles: 90.00 90.00 90.00
Closest atoms and distances in Å follow each position.
Space group Fm-3m (No. 225)
Asymmetric unit:
Sr (0.2500, 0.2500, 0.2500) (multiplicity 8)  12 Au 3.74
Tl (0.0000, 0.0000, 0.0000) (multiplicity 4)  6 Au 2.67
Sn (0.0000, 0.0000, 0.5000) (multiplicity 4)  6 Au 2.62
Au (0.0000, 0.0000, 0.2525) (multiplicity 24)  1 Sn 2.62, 1 Tl 2.67

=====

Here is crystalline SrZnSn2Au at its relaxed geometry from Alexandria. Energies are from PBE-GGA.

Values from the calculation:
Calculated volume   257.9 Å³/cell
Total magnetization   0.000 μB/atom
ΔH_f (0 K)   -427 meV per atom
Offset from the most stable computed form   0 meV per atom

abc: 4.7310 4.7310 11.5201
angles: 90.00 90.00 90.00
Closest atoms and distances in Å follow each position.
Space group I-4m2 (No. 119)
Asymmetric unit:
Sr (0.0000, 0.0000, 0.0000) (multiplicity 2)  8 Sn 3.64, 4 Zn 3.73, 4 Au 3.73
Zn (0.0000, 0.5000, 0.7500) (multiplicity 2)  4 Sn 2.77
Sn (0.0000, 0.0000, 0.3758) (multiplicity 4)  2 Zn 2.77, 2 Au 2.77, 1 Sn 2.86
Au (0.0000, 0.5000, 0.2500) (multiplicity 2)  4 Sn 2.77

=====

Here is crystalline SrZnSn2Au5 at its relaxed geometry from Alexandria. Energies are from PBE-GGA.

Values from the calculation:
Calculated volume   438.3 Å³/cell
Total magnetization   0.000 μB/atom
ΔH_f (0 K)   -249 meV per atom

abc: 4.9630 6.0489 14.6000
angles: 90.00 90.00 90.00
Closest atoms and distances in Å follow each position.
Space group Immm (No. 71)
Asymmetric unit:
Sr (0.0000, 0.0000, 0.0000) (multiplicity 2)  2 Au 3.02
Zn (0.0000, 0.0000, 0.5000) (multiplicity 2)  6 Au 2.48-2.64
Sn (0.0000, 0.5000, 0.1910) (multiplicity 4)  7 Au 2.79-3.02
Au (0.0000, 0.2607, 0.3550) (multiplicity 8)  1 Zn 2.64, 1 Sn 2.80, 1 Au 2.90
Au (0.0000, 0.5000, 0.0000) (multiplicity 2)  2 Zn 2.48

=====

Here is crystalline Sr2Zn4SnAu3 at its relaxed geometry from Alexandria. Energies are from PBE-GGA.

Values from the calculation:
Calculated volume   224.3 Å³/cell
Total magnetization   0.000 μB/atom
ΔH_f (0 K)   -482 meV per atom

abc: 4.4366 4.4366 11.3953
angles: 90.00 90.00 90.00
Closest atoms and distances in Å follow each position.
Space group P-4m2 (No. 115)
Asymmetric unit:
Sr (0.0000, 0.5000, 0.2419) (multiplicity 2)  6 Au 3.39-3.68, 8 Zn 3.39-3.54, 2 Sn 3.68
Zn (0.0000, 0.0000, 0.0000) (multiplicity 1)  4 Au 2.66
Zn (0.0000, 0.5000, 0.6446) (multiplicity 2)  3 Au 2.58-2.76, 2 Sn 2.76
____________
**Reply**
Here is crystalline SrTbSnAu at its relaxed geometry from Alexandria. Energies are from PBE-GGA.

Values from the calculation:
Calculated volume   446.3 Å³/cell
Total magnetization   0.000 μB/atom
ΔH_f (0 K)   -679 meV per atom

abc: 7.6418 7.6418 7.6418
angles: 90.00 90.00 90.00
Closest atoms and distances in Å follow each position.
Space group F-43m (No. 216)
Asymmetric unit:
Sr (0.0000, 0.0000, 0.0000) (multiplicity 4)  4 Sn 3.31, 4 Au 3.31
Tb (0.0000, 0.0000, 0.5000) (multiplicity 4)  4 Au 3.31, 4 Sn 3.31
Sn (0.2500, 0.2500, 0.2500) (multiplicity 4)  4 Tb 3.31, 4 Sr 3.31
Au (0.2500, 0.2500, 0.7500) (multiplicity 4)  4 Tb 3.31, 4 Sr 3.31

=====

Here is crystalline SrThSnAu at its relaxed geometry from Alexandria. Energies are from PBE-GGA.

Values from the calculation:
Calculated volume   461.8 Å³/cell
Total magnetization   0.000 μB/atom
ΔH_f (0 K)   -487 meV per atom

abc: 7.7294 7.7294 7.7294
angles: 90.00 90.00 90.00
Closest atoms and distances in Å follow each position.
Space group F-43m (No. 216)
Asymmetric unit:
Sr (0.0000, 0.0000, 0.0000) (multiplicity 4)  4 Sn 3.35, 4 Au 3.35
Th (0.0000, 0.0000, 0.5000) (multiplicity 4)  4 Sn 3.35, 4 Au 3.35
Sn (0.2500, 0.2500, 0.7500) (multiplicity 4)  4 Th 3.35, 4 Sr 3.35
Au (0.2500, 0.2500, 0.2500) (multiplicity 4)  4 Th 3.35, 4 Sr 3.35

=====

Here is crystalline Sr2TlSnAu6 at its relaxed geometry from Alexandria. Energies are from PBE-GGA.

Values from the calculation:
Calculated volume   1180.8 Å³/cell
Total magnetization   0.000 μB/atom
ΔH_f (0 K)   -172 meV per atom

abc: 10.5696 10.5696 10.5696
angles: 90.00 90.00 90.00
Closest atoms and distances in Å follow each position.
Space group Fm-3m (No. 225)
Asymmetric unit:
Sr (0.2500, 0.2500, 0.2500) (multiplicity 8)  12 Au 3.74
Tl (0.0000, 0.0000, 0.0000) (multiplicity 4)  6 Au 2.67
Sn (0.0000, 0.0000, 0.5000) (multiplicity 4)  6 Au 2.62
Au (0.0000, 0.0000, 0.2525) (multiplicity 24)  1 Sn 2.62, 1 Tl 2.67

=====

Here is crystalline SrZnSn2Au at its relaxed geometry from Alexandria. Energies are from PBE-GGA.

Values from the calculation:
Calculated volume   257.9 Å³/cell
Total magnetization   0.000 μB/atom
ΔH_f (0 K)   -427 meV per atom
Offset from the most stable computed form   0 meV per atom

abc: 4.7310 4.7310 11.5201
angles: 90.00 90.00 90.00
Closest atoms and distances in Å follow each position.
Space group I-4m2 (No. 119)
Asymmetric unit:
Sr (0.0000, 0.0000, 0.0000) (multiplicity 2)  8 Sn 3.64, 4 Zn 3.73, 4 Au 3.73
Zn (0.0000, 0.5000, 0.7500) (multiplicity 2)  4 Sn 2.77
Sn (0.0000, 0.0000, 0.3758) (multiplicity 4)  2 Zn 2.77, 2 Au 2.77, 1 Sn 2.86
Au (0.0000, 0.5000, 0.2500) (multiplicity 2)  4 Sn 2.77

=====

Here is crystalline SrZnSn2Au5 at its relaxed geometry from Alexandria. Energies are from PBE-GGA.

Values from the calculation:
Calculated volume   438.3 Å³/cell
Total magnetization   0.000 μB/atom
ΔH_f (0 K)   -249 meV per atom

abc: 4.9630 6.0489 14.6000
angles: 90.00 90.00 90.00
Closest atoms and distances in Å follow each position.
Space group Immm (No. 71)
Asymmetric unit:
Sr (0.0000, 0.0000, 0.0000) (multiplicity 2)  2 Au 3.02
Zn (0.0000, 0.0000, 0.5000) (multiplicity 2)  6 Au 2.48-2.64
Sn (0.0000, 0.5000, 0.1910) (multiplicity 4)  7 Au 2.79-3.02
Au (0.0000, 0.2607, 0.3550) (multiplicity 8)  1 Zn 2.64, 1 Sn 2.80, 1 Au 2.90
Au (0.0000, 0.5000, 0.0000) (multiplicity 2)  2 Zn 2.48

=====

Here is crystalline Sr2Zn4SnAu3 at its relaxed geometry from Alexandria. Energies are from PBE-GGA.

Values from the calculation:
Calculated volume   224.3 Å³/cell
Total magnetization   0.000 μB/atom
ΔH_f (0 K)   -482 meV per atom

abc: 4.4366 4.4366 11.3953
angles: 90.00 90.00 90.00
Closest atoms and distances in Å follow each position.
Space group P-4m2 (No. 115)
Asymmetric unit:
Sr (0.0000, 0.5000, 0.2419) (multiplicity 2)  6 Au 3.39-3.68, 8 Zn 3.39-3.54, 2 Sn 3.68
Zn (0.0000, 0.0000, 0.0000) (multiplicity 1)  4 Au 2.66
Zn (0.0000, 0.5000, 0.6446) (multiplicity 2)  3 Au 2.58-2.76, 2 Sn 2.76